For hussars, the first pattern cap (also known as “Torin” or “Austrian” pattern) was also to be dark blue except for the 11th Hussars, whose cap was crimson and the 15th Hussars where it was scarlet. The edges and top were trimmed in gold Russia braid.
Early on the 13th Hussars had caps made with white bodies and it is not known whether the 3rd Hussars adopted red ones. The 19th Hussars followed the 13th with white bodies and blue crowns and the 20th and 21st did the same with crimson and French Grey respectively. It appears that the “New” hussar regiments were eager to distinguish themselves from their established colleagues.
One myth that persists is that, sometime after 1885, all hussars except the 11th and 13th were to wear scarlet caps. This actually did not happen until 1898.
As early as the 1883 regulations, a “Regimental” badge was ordered to be worn on the cap. This was less of a problem for Infantry as they already had badges designated in the dress regulations.
Cavalry regiments, however, did not have readily available cap badges and although some regiments chose at first not to wear any badge or adopted to wear the Royal Cypher, this was less than distinctive.
The cavalry were certainly not short of badges. Pouches, shoulder belts, sabretaches, shabracques and other items all bore regimental devices. F
or some regiments whose sergeants wore arm badges there appeared to be a solution. The 3rd, 8th, 10th, 11th and 14th Hussars all wore cap badges that were similar to the sergeants.
The 3rd Hussars adopted the rearing horse badge which became also their first collar badge which would later change to the “long” horse badge. The 19th Hussars had their elephant, which was certainly used as a cap badge. Some badges, however are a little more difficult to identify.
The 13th Hussars may have used the puggaree badge authorised for use by other ranks in 1890 (probably in brass) It became their collar badge in 1898, so it is likely they used it on the field cap.
Today, the cap is worn in green by the Queen’s Royal Hussars who inherited it from the Royal Irish Hussars.
In 1896, the familiar field service cap was introduced. It still survives in the British army to this day and although it was ordered to be discontinued in 1902, it remained in use by most regiments overseas and by yeomanry regiments. It never completely disappeared and was revived for the whole army (in khaki) in 1938. Naturally, being the British army, it blossomed into all sorts of colours in the years that followed.
When first authorised, it was to be in blue with gold Russia braid edging on the flaps, crown and peak. Exceptions were the 11th with crimson, the 13th with the white body and top and the 15th in scarlet.
## Next to the piece, the page also holds materials data
/*
No. 1
Material: MgMnB2O5
Method: DFT, GGA+U
State: optimized geometry

Lattice parameters (Å, degrees): 6.255 6.465 10.021 108.43 104.30 88.20
Fractional coordinates of all 36 atoms:
B  0.878  0.418  0.165
B  0.321  0.670  0.654
B  0.321  0.170  0.654
B  0.679  0.830  0.346
B  0.122  0.082  0.835
B  0.122  0.582  0.835
B  0.679  0.330  0.346
B  0.878  0.918  0.165
O  0.858  0.378  0.295
O  0.858  0.878  0.295
O  0.090  0.977  0.175
O  0.910  0.023  0.825
O  0.282  0.133  0.509
O  0.718  0.367  0.491
O  0.696  0.394  0.052
O  0.304  0.606  0.948
O  0.478  0.756  0.249
O  0.522  0.244  0.751
O  0.910  0.523  0.825
O  0.522  0.744  0.751
O  0.304  0.106  0.948
O  0.718  0.867  0.491
O  0.090  0.477  0.175
O  0.478  0.256  0.249
O  0.142  0.622  0.705
O  0.696  0.894  0.052
O  0.282  0.633  0.509
O  0.142  0.122  0.705
Mn  0.784  0.690  0.638
Mn  0.216  0.309  0.363
Mn  0.784  0.191  0.637
Mn  0.216  0.809  0.362
Mg  0.369  0.933  0.099
Mg  0.631  0.067  0.901
Mg  0.369  0.433  0.099
Mg  0.631  0.567  0.901

Results
Size of the total moment ... 0.00 μB/cell
MP2020-corrected energy ... -8.20 eV per atom

No. 2
Material: Mo2AsH18C6NO12
Method: DFT, GGA+U
State: optimized geometry

Lattice parameters (Å, degrees): 14.389 10.539 12.896 90.00 113.37 90.00
Fractional coordinates of all 160 atoms:
Mo  0.110  0.033  0.291
Mo  0.110  0.467  0.791
Mo  0.343  0.634  0.968
Mo  0.343  0.866  0.468
Mo  0.657  0.134  0.532
Mo  0.657  0.366  0.032
Mo  0.890  0.533  0.209
Mo  0.890  0.967  0.709
As  0.134  0.633  0.032
As  0.134  0.867  0.532
As  0.866  0.133  0.468
As  0.866  0.367  0.968
H  0.008  0.702  0.428
H  0.008  0.798  0.928
H  0.031  0.213  0.474
H  0.031  0.287  0.974
H  0.066  0.667  0.577
H  0.066  0.833  0.077
H  0.121  0.000  0.686
H  0.121  0.500  0.186
H  0.188  0.116  0.943
H  0.188  0.384  0.443
H  0.204  0.013  0.061
H  0.204  0.487  0.561
H  0.219  0.618  0.243
H  0.219  0.882  0.743
H  0.241  0.023  0.676
H  0.241  0.477  0.176
H  0.242  0.539  0.453
H  0.242  0.961  0.953
H  0.287  0.216  0.576
H  0.287  0.284  0.076
H  0.301  0.179  0.193
H  0.301  0.321  0.693
H  0.330  0.211  0.924
H  0.330  0.289  0.424
H  0.372  0.530  0.701
H  0.372  0.970  0.201
H  0.382  0.055  0.928
H  0.382  0.445  0.428
H  0.410  0.247  0.180
H  0.410  0.253  0.680
H  0.411  0.583  0.593
H  0.411  0.917  0.093
H  0.457  0.178  0.021
H  0.457  0.322  0.521
H  0.482  0.039  0.190
H  0.482  0.461  0.690
H  0.518  0.539  0.310
H  0.518  0.961  0.810
H  0.543  0.678  0.479
H  0.543  0.822  0.979
H  0.589  0.083  0.907
H  0.589  0.417  0.407
H  0.590  0.747  0.320
H  0.590  0.753  0.820
H  0.618  0.555  0.572
H  0.618  0.945  0.072
H  0.628  0.030  0.799
H  0.628  0.470  0.299
H  0.670  0.711  0.576
H  0.670  0.789  0.076
H  0.699  0.679  0.307
H  0.699  0.821  0.807
H  0.713  0.716  0.924
H  0.713  0.784  0.424
H  0.758  0.039  0.047
H  0.758  0.461  0.547
H  0.759  0.523  0.824
H  0.759  0.977  0.324
H  0.781  0.118  0.257
H  0.781  0.382  0.757
H  0.796  0.513  0.439
*/
The 19th and 20th retained their distinctive colour themes. The 21st never appear to have adopted the cap. Photographs of the regiment in Cairo in 1897, just before their conversion to lancers, show them still wearing the Torin cap.
Some regiments had small differences such as the 11th Hussars where there was no peak and just a single button on the front. The 14th also had no peak. Since many officers wore this cap whilst mounted, it was often fitted with a black leather chinstrap
In 1898 all Hussar regiments except the 11th and 13th were ordered to wear scarlet caps.
New badges, which were introduced in 1898 and illustrated in the 1900 regulations now reflected the identity of the cavalry that would carry forward to the present day.
The leaping horse of the 3rd Hussars now had a scroll with forked ends which in later versions would be tucked behind. Scrolls also appeared for the 8th, 10th and 15th Hussars. Many of the badges were similar to the collar badges.
The 7th and 14th Hussars had gold bullion badges while their later cap badges were reserved for puggarees at this time. The 13th Hussars devised a new badge with the famous “Z” scroll which would become the regiment’s badge (with changes for amalgamations) until the 1990s.
A larger version of their collar badge was still worn on the puggaree. (a hat band popular in the later used on the Australian army slouch hat.)
Field service serge frocks in the Hussars followed the development of those in other branches. In all cases the frock was blue, at first with the pleated front and skirts and brass domed buttons.
Variations were common and the example of the 18th Hussars who wore a version with black (or horn) buttons and a distinctive brown pouch belt and pouch with ornaments the same as the dress belt (may of brass in this case). In the early 1890s, the frock became plain with patch pockets on the breast and below the waist. Shoulder chains appeared in 1896 and the shoulder straps were specially shaped to accommodate them.
The breast pockets were at first plain, but photos show a mixture of those and box pleated pockets being worn by 1898. Both the 3rd and 13th Hussars wore scarlet and white collars respectively from about 1890.
The illustration of the 3rd shows the first pattern collar badge of rearing horse.
The 1883 regulations stated that the cloaks and capes of Hussar officers should be the same as for Dragoon Guards and Dragoons. The lining was to be scarlet in all regiments except the 11th which would be crimson.
The ensuing regulations in 1891 and 93 did not differ but those of 1900 stated that the Linings were to be white in the 8th and 13th Hussars, crimson in the 11th, yellow in the 14th and scarlet in the remainder.
There is no mention of a scarlet or white cape collar in the 3rd and 13th. Illustrated is the 14th Hussars cloak.